Monday, July 6, 2009

Basketballs are not to be trusted

I've come across my fair share of things that I don't like in this world. In fact, as you know, I even created an enemy list to memorialize some of my least liked people and places. While I don't really have anything good to say about those who are on my enemy list, I will say that my dislike for, say, George Lucas wasn't immediate. He had me fooled pretty good by A New Hope and The Empire Strikes Back. I would also argue that Return of the Jedi has it's chill inducing moments -- the epic space battle, the final lightsaber duel where Vader sacrifices himself for Luke. It wasn't until I had seen The Phantom Menace for the second time that I started to doubt George. And that doubt didn't bloom into a dislike that rivals the heat of a thousand suns until Revenge of the Sith. Same goes for Michigan -- great lakes that blind you to terrible people and a farcical University. Ditto for hippies -- the music is good on the radio, but the stench is overwhelming in person. I could go on, but I'll spare you.

So, you see, something doesn't just make it on to the Enemy List because I harbor some casual dislike for it. I'v put thought into this. But then along came something so alien and so revolting that I had an immediate, inexplicable gut reaction to it. Every fiber of my being shrieked GET AWAY, LUCY! DON'T STARE DIRECTLY AT IT! See for yourself:

So there you have it. I don't like basketballs. I nearly dropped ghosts from Enemy List and replaced them with basketballs, but then a thought occurred to me. Perhaps the answer is to leave the Enemy List as it is and allow my hatred for basketballs to fly under the radar. Heck, maybe I'll even befriend a few for appearance's sake. It's like Mother Teresa says, keep your friends close, but your enemies closer. And then, when it is least expected, I'll mount a strike the likes of which human eyes have not witnessed. Mark my words, I will not rest until every last basketball on this earth is either deflated or confined to internment camps in Michigan.


Rege said...

I'm not a fan of basketballs either. There is not alot of love in the game of hoops for short white guys like myself.

Anonymous said...

now lucy,
you must understand that not all new things are bad-remember how you didn't like carrots at first but now they go so well with your beef and onion medley? you must give the ball a chance. maybe it was the cheap fake leather that you disliked so??? basketball is a great way to push and shove other people without being charged with assault. all i'm saying is give it a chance!
-Larry Bird

Anonymous said...

quit being weak!
-Scottie Pippin

Anonymous said...

Don't try to hide your weak jump shot by "pretending" to be aftraid of the ball. Bring it!
-Lisa Leslie

Anonymous said...

what's the dilly yo????
-thabeet goes on

Anonymous said...

hey girl,
just because you look like your dad, doesn't mean you've inherited his jumpshot. be the ball.
-Steve Nash

Lee said...

Calculated crystals that have nothing to do with the piece:
(1)
DFT (GGA+U) results for a relaxed MoAs2O7 crystal.

Final energy: -6.4085 eV/atom
Energy relative to the lowest polymorph listed for this composition: 0.0000 eV/atom
Energy relative to the elements: -1730 meV/atom

a b c (Å): 4.6814 8.1050 17.4350
angles (deg): 71.69 90.00 90.00
Closest atoms and distances in Å follow each position.
Positions (direct):
Mo (0.0030, 0.0623, 0.0965)  2 O 1.72
Mo (0.5030, 0.9377, 0.4035)  2 O 1.72
Mo (0.9970, 0.9377, 0.9035)  2 O 1.72
Mo (0.4970, 0.0623, 0.5965)  2 O 1.72
As (0.5521, 0.4103, 0.2112)  3 O 1.80-1.88
As (0.0521, 0.5897, 0.2888)  3 O 1.80-1.88
As (0.4479, 0.5897, 0.7888)  3 O 1.80-1.88
As (0.9479, 0.4103, 0.7112)  3 O 1.80-1.88
As (0.4556, 0.7749, 0.0573)  4 O 1.72-1.74
As (0.9556, 0.2251, 0.4427)  4 O 1.72-1.74
As (0.0444, 0.7749, 0.5573)  4 O 1.72-1.74
As (0.5444, 0.2251, 0.9427)  4 O 1.72-1.74
O (0.1864, 0.4429, 0.2353)  2 As 1.80-1.84
O (0.6864, 0.5571, 0.2647)  2 As 1.80-1.84
O (0.8136, 0.5571, 0.7647)  2 As 1.80-1.84
O (0.3136, 0.4429, 0.7353)  2 As 1.80-1.84
O (0.7879, 0.9806, 0.1795)  1 Mo 1.72
O (0.2879, 0.0194, 0.3205)  1 Mo 1.72
O (0.2121, 0.0194, 0.8205)  1 Mo 1.72
O (0.7121, 0.9806, 0.6795)  1 Mo 1.72
O (0.2527, 0.7572, 0.9778)  1 As 1.72
O (0.7527, 0.2428, 0.5222)  1 As 1.72
O (0.7473, 0.2428, 0.0222)  1 As 1.72
O (0.2473, 0.7572, 0.4778)  1 As 1.72
O (0.2480, 0.8447, 0.6240)  1 As 1.73
O (0.7480, 0.1553, 0.8760)  1 As 1.73
O (0.7520, 0.1553, 0.3760)  1 As 1.73
O (0.2520, 0.8447, 0.1240)  1 As 1.73
O (0.9248, 0.5668, 0.6056)  2 As 1.72-1.88
O (0.4248, 0.4332, 0.8944)  2 As 1.72-1.88
O (0.0752, 0.4332, 0.3944)  2 As 1.72-1.88
O (0.5752, 0.5668, 0.1056)  2 As 1.72-1.88
O (0.7566, 0.9032, 0.0246)  1 As 1.74
O (0.7780, 0.7921, 0.8787)  1 Mo 1.72
O (0.7220, 0.7921, 0.3787)  1 Mo 1.72
O (0.2220, 0.2079, 0.1213)  1 Mo 1.72
O (0.7434, 0.9032, 0.5246)  1 As 1.74
O (0.2434, 0.0968, 0.9754)  1 As 1.74
O (0.2566, 0.0968, 0.4754)  1 As 1.74
O (0.2780, 0.2079, 0.6213)  1 Mo 1.72



(2)
DFT (GGA+U) results for a relaxed MoAsO6 crystal.

Final energy: -6.2173 eV/atom
Energy relative to the elements: -968 meV/atom

a b c (Å): 7.3773 12.6794 12.3388
angles (deg): 90.00 104.88 90.00
Closest atoms and distances in Å follow each position.
Positions (direct):
Mo (0.6192, 0.2716, 0.7799)  3 O 1.72-1.92
Mo (0.3808, 0.7716, 0.7201)  3 O 1.72-1.92
Mo (0.3808, 0.7284, 0.2201)  3 O 1.72-1.92
Mo (0.6192, 0.2284, 0.2799)  3 O 1.72-1.92
Mo (0.1784, 0.2841, 0.5858)  3 O 1.72-1.92
Mo (0.8216, 0.7841, 0.9142)  3 O 1.72-1.92
Mo (0.8216, 0.7159, 0.4142)  3 O 1.72-1.92
Mo (0.1784, 0.2159, 0.0858)  3 O 1.72-1.92
As (0.2056, 0.3587, 0.3259)  3 O 1.81-1.89
As (0.7944, 0.8587, 0.1741)  3 O 1.81-1.89
As (0.7944, 0.6413, 0.6741)  3 O 1.81-1.89
As (0.2056, 0.1413, 0.8259)  3 O 1.81-1.89
As (0.6123, 0.1472, 0.0127)  3 O 1.82-1.87
As (0.3877, 0.6472, 0.4873)  3 O 1.82-1.87
As (0.3877, 0.8528, 0.9873)  3 O 1.82-1.87
As (0.6123, 0.3528, 0.5127)  3 O 1.82-1.87
O (0.9962, 0.2022, 0.5968)  1 Mo 1.73
Here the piece continues:

I remember her grandpa doing that the last time we played. :)